Category: Latter-day Saint Thought

These quantum chemistry results were left in the entry by mistake =
'''
P:
Computed, not measured: the molecule C5H10O, with ωB97M-V/def2-TZVPD.

## Properties
E_HOMO (eV): -8.2
Kohn-Sham gap (hartree): 0.34368
LUMO energy (eV): 1.125

Geometry as XYZ:
```
16
C5H10O (ωB97M-V/def2-TZVPD)
C -2.40094 -0.33065 -0.65084
C -1.09648 -0.28252 -1.46374
C -0.05244 0.40462 -0.61538
C 1.53428 0.70598 1.66184
C 1.98949 -0.10652 0.46822
O 0.91522 -0.45868 -0.44651
H -2.71536 0.68106 -0.37525
H -2.26686 -0.90496 0.27462
H -3.19961 -0.80785 -1.22869
H -1.25159 0.33029 -2.36149
H -0.78153 -1.29137 -1.76553
H 0.56902 0.32913 2.01491
H 2.26987 0.60412 2.46575
H 1.39979 1.76033 1.41806
H 2.36744 -1.08082 0.78471
H 2.78033 0.39349 -0.10117
```


Q:
Computed, not measured: a structure of composition C5H10O, with ωB97M-V/def2-TZVPD.

## Properties
E_HOMO (eV): -9.2
Kohn-Sham gap (hartree): 0.37329
LUMO energy (eV): 0.968

Geometry as XYZ:
```
16
C5H10O (ωB97M-V/def2-TZVPD)
C -1.61577 0.40859 0.77030
C -0.98515 -0.33523 -0.38185
C -0.14192 0.39562 -1.42870
C 0.47586 -0.57028 -0.48320
C 1.49521 0.07930 0.73354
O 1.07582 -1.77165 -0.82879
H -2.53594 0.90080 0.44109
H -1.87112 -0.27384 1.58885
H -0.95080 1.18092 1.17196
H -1.59476 -1.14891 -0.77725
H -0.25821 0.14095 -2.47977
H 0.07924 1.44084 -1.23345
H 2.61293 -0.00952 0.62065
H 1.26971 -0.29167 1.74802
H 1.29769 1.13420 0.65180
H 1.64720 -1.28012 -0.11320
```


The structure with the most favorable energy is P; the runner-up is 0.449 eV above it.

* * * * *

(1)
DFT (wB97M-V/def2-TZVPD) results for 7 unconnected molecules or ions with the total composition C4H23N3O7 in a non-equilibrium geometry.

Output
- largest force on an atom (Eh/bohr) = 0.21159
- SMILES = C[C@H](CN)NC(N)=O.O.O.O.O.O.O
- relative energy (zero: lowest compared OMol25 entry of this formula, charge and spin) (kcal per mole) = 122.6
- total charge = 0
- DFT total energy (hartree) = -857.0452

Each line ends with the Mulliken charge.
Element x y z (Å)
O (-0.4894, 1.1561, -0.6932)  -0.532
O (-3.7617, -1.7075, 0.5574)  -0.591
O (1.2389, -2.2541, -3.3117)  -0.635
O (0.1757, -3.5637, -1.1407)  -0.668
O (-1.7278, -1.2077, 2.7442)  -0.582
O (1.0368, 0.3133, -3.5864)  -0.669
O (-3.4785, 1.7720, -1.5800)  -0.641
N (1.1318, -0.7443, -0.3312)  -0.492
N (0.5048, 1.7905, 1.2887)  -0.210
N (-1.2511, 2.9503, 0.2745)  -0.451
C (1.4411, 0.6890, 1.5706)  0.949
C (2.0000, 0.3105, 0.1487)  -0.976
C (2.5610, 1.1286, 2.4955)  -1.427
C (-0.4000, 1.8740, 0.2976)  0.528
H (0.4491, -0.3664, -3.7925)  0.292
H (-1.1453, 3.7146, 0.9618)  0.177
H (-2.9415, 2.1168, -2.2310)  0.332
H (0.8114, -2.2733, -2.4510)  0.435
H (1.0491, -0.2688, 2.0774)  -0.170
H (-1.6514, -0.5941, 1.9840)  0.324
H (0.8118, -3.0083, -3.7843)  0.311
H (3.5775, 1.1294, 1.9810)  0.276
H (2.7806, 0.4977, 3.4231)  0.330
H (1.4357, -1.0877, -1.1767)  0.047
H (0.4181, 2.4999, 1.9109)  0.132
H (0.0789, -0.4579, -0.5107)  0.318
H (0.8549, -3.1665, -0.7801)  0.289
H (1.9922, 1.0580, -0.6914)  0.334
H (2.9947, -0.0236, 0.4293)  0.580
H (-2.1230, 2.6839, -0.0395)  0.241
'''
Here the entry continues =

  • Guest Post: What Can LGBT Mormons Hope For?

    A year and a half ago, I invited John Gustav-Wrathall, president of the support group Affirmation: LGBT Mormons, Families & Friends, to share his thoughts on the Church’s new policy affecting LGBT members and their children (see All Flesh from December 2015). Diverging responses to this post gave rise to the idea of hosting a conversation on the blog about…

  • A Food Storage Wimp Ponders the End of the World

    It’s good to ponder the end of the world from time to time. Now I’m not really a food storage guy. That has never troubled me much. Until lately. My new approach: Every time North Korea fires a missile, I buy another flat of drinking water and put it in the garage, along with one…

  • Let’s Talk About Sorcery

    Borrowing the title from my good friends at BCC, let’s talk about sorcery, another interesting topic that is discussed in the April 2017 Ensign article “The War Goes On.” The central claim of the article is that gay marriage is Satan’s counterfeit version of “marriage between a man and a woman” that is “ordained of…

  • “Neither Shall There Be Any More Pain”: Trials and Their Purpose

    This is a talk I gave in sacrament meeting on March 12, 2017. The topic was “Trials and Their Purpose.” I appreciate the thoughts and words of [the previous speakers]. I hope that you all can find some solace in our various messages, even if the answers are a bit incomplete. The purpose of trials—or…

  • Loosening the iron grip of the King James Version of the Bible?

    A couple of years ago, Elder Richard Maynes (of the Presidency of the Seventy) quoted Matthew 13:44 in his conference talk: “The kingdom of heaven is like treasure hidden in a field, which a man found and covered up; then in his joy he goes and sells all that he has and buys that field.” But wait…

  • Can Mercy Rob Justice?

    We’re all familiar with Alma 42 and the notion that mercy can’t rob justice. I was reading this today at church and was struck by a context that often doesn’t get mentioned. In the ancient world relationships often determined actions. This meant special treatment for friends and especially relations. In Greek philosophy and plays you…

  • Can Private Experience Ground Knowledge?

    I’ve neglected my posts on epistemology the past couple of months due to being busy. While I want to get back to them let me first take a bit of a side trip. Fundamentally more than anything else the big divide within the question of religious knowing is to what degree private experiences can ground…

  • Telling the stories of the Church’s history

    Telling the stories of the Church’s history

    A review of Leonard Arrington and the Writing of Mormon History, by Gregory A. Prince Telling the history of a church can be tricky. Which elements arose from the culture of the time? Which manifest the direct intervention of the divine? Is that even a sensible distinction? On the one hand, some Church leaders have…

  • Scientists and Religious Belief

    Exactly how religious are scientists? The typical assumption is that they aren’t terribly religious at all. Further I think most people assume this is a relatively recent change – say around the time of the second world war. It’s always a difficult question since there’s debate about who is or isn’t a scientist. Are doctors?…

  • Scripture and Historical Context: A Contemporary Example

    Scripture and Historical Context: A Contemporary Example

    There’s a common assumption that historical accuracy and a spiritual orthodoxy compete against each other in a zero-sum game. Either you have to take the most recent finding or the dominant academic consensus as credible, or you have to take a literal reading of the scriptures as axiomatic, but you can’t have both. Well, that’s…

  • The Policy: Year One

    Happy birthday, Policy, you are one year old today. In January I posted “Policy or Revelation?” which outlined the public timeline of the messy initial release of the Policy, along with links to relevant documents. Time for an update on the Policy. Maybe I’ll do one every year until it dies.

  • Five Possible Wrong Turns

    Five Possible Wrong Turns

    I’ve read several books and essays in the science versus religion genre, some by secular scientists or philosophers (such as Stephen Jay Gould’s Nonoverlapping Magisteria essay) and some by Christian scientists (such as Karl Giberson’s Saving Darwin: How to Be a Christian and Believe in Evolution). I recently found a refreshing new perspective within the…

  • Conditional Love Is Back

    The recently announced LDS doctrine of conditional divine love comes from President Nelson’s 2003 Ensign article “Divine Love,” in which he stated: “While divine love can be called perfect, infinite, enduring, and universal, it cannot correctly be characterized as unconditional.” No additional commentary was added until the October 2016 General Conference, when two apostles, citing…

  • Jeremiah, Truth and Intelligence

    Jeremiah, Truth and Intelligence

    A couple of months ago I had a post talking about how Hebrews talk about things being true. While my focus was on common Mormon expressions like “I know the Church is true” the basic principle applies to many scriptures. That includes famous Book of Mormon ones like Alma 32. The basis for most of…

  • The Nova Effect – Secular Age, round 7

    This third section of Taylor’s book is, to me, the most redundant, so I’m going to make up for lost time by condensing these four chapters into one blog post. In fact, I’ll leave Ch. 11 off entirely because it’s mostly an exploration of the section’s themes through case studies in Britain and France. In…

  • Sacrament Prayers: A Close Reading

    A while ago my dad had pointed out some features of the sacrament that somehow I’d missed in all the years I’d been partaking. A few of these were examples of something that’s right before you the whole time yet somehow you still miss. I thought I’d share them with you. We get our sacrament…

  • Korihor the Witch

    Thou shalt not suffer a witch to live. (Ex. 22:18) I recently read Peter Charles Hoffer’s The Salem Witchcraft Trials: A Legal History (Univ. Press of Kansas, 1997). How could a bunch of dedicated Christians become convinced that their neighbors, some of whom were acknowledged to be fine citizens and exemplary Christians, were actually in…

  • The Anthropocentric Shift: Secular Age, round 6

    Links to posts 1, 2, 3, 4, 5 In the last several posts, we’ve covered how the enchanted, hierarchical world of pre-modern Europe slowly shifted in the sixteenth and seventeenth-centuries to a “disciplinary” society, where human beings began to perceive themselves as rational agents and masters of their own will and destiny, and increasingly related…

  • Some Thoughts on Trends in Apologetics

    First let me say upfront that I simply don’t read that many apologetic papers anymore. That’s less about any problems with the genre so much as just a lack of time. I have to be a little pickier about what I read than I used to. One day when little kids aren’t waking up all…

  • Going All Sorts of Gentile

    Going All Sorts of Gentile

    It’s almost Pentecost, when the Holy Ghost went wild, which brings to fiery minds the thought of not only that particular world-turned-upside-down event but assorted others a whole lot like unto it, which other events alas never got their own red-letter day on the calendar, even though they probably deserved to, and so it occurred…

  • 20th Century LDS Thought on Sexual Assault: Some Context

    The Salt Lake Tribune recently published an article called “How outdated Mormon teachings may be aiding and abetting ‘rape culture.’” While I am also concerned about ways in which Mormon culture may encourage rape culture (see here and here and here), I want to push back against one portion of the article.

  • The New Harmonized First Vision Account

    The New Harmonized First Vision Account

    Sunday night, Elder Richard J. Maynes, of the Presidency of the Seventy, delivered a CES Devotional on the First Vision. In particular, he made explicit reference to the four first-person accounts of the First Vision authored by Joseph Smith that we have. [See the text of the four accounts at this handy page at the…

  • Hell Part 1: Close Readings of the Book of Mormon

    I love doing close readings of scripture. The normal way to do this is reading linearly through the entire book of scripture. An other great way is to study by topic. Each helps you see things you might miss using only the other method. While I’m glad our gospel doctrine has encouraged reading all scripture, part…

  • Venting, Capping, and Sympathizing

    Venting, Capping, and Sympathizing

    Two items came across my news feed yesterday:

  • What if Belief isn’t Volitional?

    Imagine you walk outside under a beautiful blue sky, the sun warm on your skin. Now someone comes up to you and tells you that you must believe the sky is orange and the air cold. Can you do it? If not, does that mean your beliefs are freely chosen? Can you choose to believe?

  • Enchantment and Disenchantment: Secular Age Round 3

    Enchantment and Disenchantment: Secular Age Round 3

    (Links to Rounds 1 and 2) These next several posts will cover chapters in Parts I-III, which comprise Taylor’s account of the western historical trajectory towards secularity, from the enchanted world of 1500 AD to the disenchanted and pluralistic one of 2000 AD. Overall, Taylor’s historical account challenges the  “subtraction” stories that explain the road to…

  • Entitled


    I very much enjoyed Elder Renlund’s comments on entitlement. First, because he made clear one of the reasons why we should be very conscientious about how we give help. It affects the receiver’s spiritual progression. Second, the King Benjamin-esque tie-in to all of us who, like any Church welfare recipient, are beggars before God. Lastly,…

  • Review: Mormon Feminism: Essential Writings

    Review: Mormon Feminism: Essential Writings

    I enjoyed reading Mormon Feminism: Essential Writings (OUP, 2016), a 300-page collection of articles and essays on Mormon feminism spanning the 1970s to the present. That I enjoyed it says a lot, as feminism isn’t really my thing. The editors (Joanna Brooks, Rachel Hunt Steenblik, and Hannah Wheelwright) did a great job not only selecting…

  • Terryl Givens on What It Means to Sustain

    Below is a letter Terryl Givens recently wrote on what it means to sustain Church leadership. It is an outgrowth of an actual correspondence between Brother Givens and a friend, and is posted with Givens’ permission. The friend holds strong feelings about recent changes made to the Church Handbook of Instruction and had asked Givens…

  • Policy or Revelation?

    Facebook is ablaze with dismay over statements made by Elder Russell M. Nelson in Sunday night’s Worldwide Devotional, titled “Becoming True Millennials.” Initially, when the details of the new provisions were first disclosed and when Elder Christofferson publicly defended them, they were simply portrayed as a policy. Now, many are suggesting Elder Nelson has declared…